Whistleblowing Computer Programmer Seeking to Challenge GOP Congressman Charged With Asking Him to Create Vote-Rigging Software!
Exploratory Campaign Website Created, Public Announcement to be Made Wednesday in Florida

In what could be one of the most interesting campaigns for the U.S. House in 2006, The BRAD BLOG can now reveal that computer programmer turned electronic vote-rigging software whistleblower Clint Curtis is officially planning a run for the U.S. Congressional seat in Florida's 24th District.
The 24th Congressional District seat is currently occupied by Rep. Tom Feeney, the very man who Curtis has alleged once asked him to create a vote-rigging software prototype program back when both men worked for the software firm Yang Enterprises, Inc. (YEI) in Oviedo, Florida.
Curtis' startling allegations that then-State Senator Feeney had sought to have such a program built was first broken nationally by The BRAD BLOG in a story based on his sworn affidavit [PDF] which "rocked the vote from Tallahassee to Capitol Hill" when it was originally published in early December of 2004. Indeed, it was so popular that it took down our blog entirely for four straight days.
Since filing his original allegations, Curtis has given stunning sworn, video-taped testimony about the matter to members of the U.S. House Judiciary Committee in a public hearing, and later, successfully passed a polygraph test in regard to the charges.
Feeney, who was once Jeb Bush's running-mate during his first ill-fated run for Governor in 1994, was also the Speaker of the Florida Legislature who infamously promised to award Florida's electoral votes to George W. Bush during the 2000 Election Debacle --- no matter what the state Supreme Court would ultimately decide about the matter. He later went on to run for the U.S. Congress in 2002 in Florida's conservative 24th District, which is said to have been carved out expressly by Feeney for himself during his time in the statehouse.
(Attached: data records)
[1]
Below is a cluster of 2 separate species, CF2O in total, with properties calculated with wB97M-V/def2-TZVPD.

Calculated values
**Gap between HOMO and LUMO (alpha / beta)**: 8.847 / 9.749 eV
**Expectation value of S²**: 2.005
**Highest occupied orbital energy (alpha / beta)**: -7.7 / -14.3 eV
**LUMO energy (alpha / beta)**: 1.1 / -4.5 eV
**Charge**: 0
**2S+1**: 3
**Relative energy (zero: lowest compared OMol25 entry of this formula, charge and spin)**: 16.6 kcal per mole

Geometry as XYZ:
```
4
CF2O, DFT wB97M-V/def2-TZVPD
C 0.292 0.143 0.133
O 0.786 -0.862 -0.027
F -1.776 -0.473 0.012
F 0.271 1.367 -0.050
```

Quick look at the natural (NBO) charges, all values in e: 0.761, -0.476, -0.014, -0.271

---

[2]
Below is a structure of composition CF3MgNO3S3Zn, with properties calculated with wB97M-V/def2-TZVPD.

Calculated values
**Gap between HOMO and LUMO (alpha / beta)**: 5.071 / 4.497 eV
**Highest occupied orbital energy (alpha / beta)**: -7.4 / -6.9 eV
**LUMO energy (alpha / beta)**: -2.4 / -2.4 eV
**Charge**: 0
**2S+1**: 1
**Relative energy (zero: lowest compared OMol25 entry of this formula, charge and spin)**: 9.7 kcal per mole

Geometry as XYZ:
```
13
CF3MgNO3S3Zn, DFT wB97M-V/def2-TZVPD
Zn 2.054 -0.365 1.295
N 0.149 1.175 -0.584
S 0.468 2.112 0.840
O 2.048 1.605 1.019
S -0.335 -0.359 -0.274
O 0.220 -0.812 1.090
O 0.506 -1.906 -1.692
C -2.159 -0.244 0.117
F -2.411 0.565 1.128
F -2.779 0.194 -0.968
F -2.594 -1.462 0.407
Mg 2.159 1.235 -0.934
S 2.676 -1.738 -1.445
```

Here are the natural (NBO) charges for atoms 1 to 5, given in e: 1.408, -1.285, 0.621, -1.280, 1.483

---

[3]
Below is a cluster of 2 separate species, CF3N2O3 in total, with properties calculated with wB97M-V/def2-TZVPD.

Calculated values
**Gap between HOMO and LUMO**: 9.188 eV
**Highest occupied orbital energy**: -5.9 eV
**LUMO energy**: 3.3 eV
**Charge**: -1
**2S+1**: 1
**Relative energy (zero: lowest compared OMol25 entry of this formula, charge and spin)**: 0.0 kcal per mole

Geometry as XYZ:
```
9
CF3N2O3, DFT wB97M-V/def2-TZVPD
C 1.548 0.046 0.222
N -1.860 0.320 0.412
N -2.114 -0.208 -0.595
O -2.171 1.015 1.322
O -1.892 -0.956 -1.487
O 0.712 0.238 1.058
F 2.150 -1.291 0.216
F 1.012 -0.030 -1.171
F 2.616 0.867 0.023
```

Here are the natural (NBO) charges for atoms 1 to 5, given in e: 1.132, 0.395, 0.333, -0.375, -0.365

---

[4]
Below is a structure of composition CF3NNaO4S3Zn, with properties calculated with wB97M-V/def2-TZVPD.

Calculated values
**Gap between HOMO and LUMO**: 5.257 eV
**Highest occupied orbital energy**: -3.2 eV
**LUMO energy**: 2.1 eV
**Charge**: -1
**2S+1**: 1
**Relative energy (zero: lowest compared OMol25 entry of this formula, charge and spin)**: 34.8 kcal per mole

Geometry as XYZ:
```
14
CF3NNaO4S3Zn, DFT wB97M-V/def2-TZVPD
Na -5.216 5.209 2.962
N -3.667 6.481 1.697
S -2.582 5.695 1.121
O -2.724 4.285 0.575
C -1.750 6.555 -0.328
F -1.252 7.717 0.072
F -2.694 6.776 -1.239
F -0.783 5.818 -0.850
Zn -3.135 3.017 1.979
S -4.697 2.638 3.961
Rep. Feeney now sits on the U.S. House Judiciary Committee and continues to face charges of ethical transgressions concerning his conduct during his tenure as a U.S. Congressman where was recently reported to be Tom DeLay's #1 supporter. Said Feeney at a "Salute to Tom DeLay" last May, "Tom DeLay is the most effective leader the House has seen in 50 years."
Curtis, in preparing for a run his against Feeney, (who has been caught by The BRAD BLOG in more than a few "contradictions" over the time we've been covering this story,) has set up a campaign website to support his potential run at www.ClintCurtis.com where he is currently welcoming much-needed contributions and supporters.
In addition to the vote-rigging charges, Curtis also alleged that YEI employed an illegal Chinese alien involved in placing "wire-tapping" modules into software created by the company who had top-secret security contracts with NASA, the Florida Dept. of Transportation (FDOT), amongst other clients. Feeney was both general counsel and registered lobbyist for YEI for years during that time, even while he was Speaker of Florida's Legislature, where he also faced ethics charges during his tenure.
One of the illegal aliens at YEI reported by Curtis to the Florida's Inspector General's office in 2001 as working at the company and said to have been placing the "wire-tapping" modules into software before it shipped, was arrested in 2004 after a four-year sting, and has pled guilty to charges related to espionage in attempting to illegally ship Hellfire anti-tank missile chips to China. Feeney himself just returned from yet another trip to Asia, this time touring China's space facility where he reportedly called for "more balanced relations" with the Communist nation.
Charges that Curtis had made concerning over-billing of YEI contracts with FDOT have also since been confirmed by the Florida Inspector General's office who finally completed their report on Curtis' case in early 2005.
Feeney, who claimed, as late as February of 2005 that he had ended his relationship with YEI once he reached the U.S. House in 2002, was revealed by The BRAD BLOG to have been the honoree at a private party/reception given by company owners --- and continuing large contributors to Feeney's campaign --- Dr. and Mrs. Yang in 2003. As well, Feeney's campaign headquarters for his 2004 campaign, during which he ran unopposed, was housed in YEI's main headquarters building in Oviedo. Feeney's campaign website still lists YEI's address --- 1420 Alafaya Trail --- as the place to contact his campaign.
Unlike Curtis, Feeney has not taken a polygraph test in relation to his denial of Curtis' charges.
Many of those denials have since been debunked by The BRAD BLOG.
As our coverage of the Clint Curtis story has been extensive over the last 14 months, we'll refer you to this Quick Summary of the main points in his extraordinary story, as well as this Index of Key Articles, for more details in the continuing saga. We promise there is more stunning revelations to be found there, including some startling details of the mysterious death of the original Florida Inspector General's investigator assigned to Curtis' case.
Beyond the Curtis-related allegations, Feeney has been described as one of the "13 Most Ethically Challenged Members of Congress" in light of his lobbyist and foreign-agent sponsored trips such as his Tom DeLay/Jack Abramoff golf junket to St. Andrews, Scotland (yes, he was right there along with them) and elsewhere. Josh Marshall of Talking Points Memo described Feeney just last month as a "bamboozler" for his attempts at playing both sides of the field concerning his vote on new rules which DeLay was pushing through the House Ethics Committee. When asked how he voted on the new rules, as attempted by DeLay, Feeney tried to avoid giving an answer to the media by saying there was no actual vote on the matter. Despite the fact that there was.
Feeney's history as a bamboozler seems to be becoming legendary.
Curtis, formerly a "life-long Republican," became a self-described "Conservative Democrat" after his various disturbing dealings with Feeney and friends. He will be making his first public announcement about his intentions to form an exploratory campaign at a local Democratic party gathering at the Cocoa Civic Center in Brevard County this Wednesday evening.
Before facing Feeney directly, however, Curtis will have to survive a primary race against Dr. Andy Michaud who has reportedly pledged to spend quite a bit of his own money in order to face one of the most effective fundraisers in Congress.
We also imagine Michaud will be seeing a sudden influx of financial support in the days ahead from the many supporters of Feeney who, we have a feeling, would rather not have to face Curtis in the General Election next November.
Therefore fundraising from across the nation, Curtis tells The BRAD BLOG as part of a "Campaign Q&A" with him which we will publish here tomorrow, will be key.
"As with most battles of good vs. evil, good can only win if it receives sufficient help," says Curtis. "If my campaign does not receive both unprecedented financial support as well as huge volunteer efforts, this could be a very difficult quest to fulfill."
Difficult indeed. Curtis who, unlike both Michaud and Feeney, has never participated in a political campaign before, will have his work cut out for him. But he's faced more daunting --- and terrifying --- fights in the past. His tireless years-long effort to hold accountable those who he sees as having committed wrong-doing against this country has not come at a small cost. But that struggle may serve him well in his "good vs. evil battle."
Curtis explains that he feels he has little choice at this point but to enter the battle, and in discussing it, he expresses a sentiment heard all too rarely from Democrats these days: "I am now convinced that fearing a loss is not a valid reason for never entering the fight."
And so the fight begins...
BRAD BLOG's exclusive Q&A with Candidate Curtis is now published here. Contributions to Curtis' exploratory campaign may be made via his website at this link.
For more info on
The BRAD BLOG's continuing investigative series on
The Clint Curtis/Tom Feeney/Yang Enterprises Vote-Rigging Scandal series, please see:
- A
Quick Summary of the story so far.
- An
Index of all the Key Articles & Evidence in the series so far.